June is really boom time in your greenhouse and everything will be growing like crazy. With the longest day of the year fast approaching – June 21st – we should hopefully have warmer weather and more hours of sunlight, so it’s time to give some thought as to what tasks we should be carrying out in the greenhouse.
Just in case this June does decide to be a glorious one, you need to pay close attention to ventilation; as plants begin to flourish, it is important to make sure that there is good airflow all around them and that they do not become overcrowded. In warm weather, keep your Elite greenhouse from overheating by opening the vents and louvres it is fitted with. On hot days, damp down your greenhouse to increase humidity and deter mites. Using Smart Thermometers can help you track the temperatures in the greenhouse during the day, and make any necessary changes to your ventilation system.
Misplaced calculated crystals:
┌──
! NdS, relaxed, DFT r²SCAN; values from VASP
! total moment = 0.0 μB per formula unit
! E = -21.02 eV per atom
&SYSTEM
  ibrav = 0, nat = 2, ntyp = 2
/
ATOMIC_SPECIES
Nd 144.24 Nd.upf
S 32.06 S.upf
CELL_PARAMETERS angstrom
0.000 2.876 2.876
2.876 0.000 2.876
2.876 2.876 0.000
ATOMIC_POSITIONS crystal
Nd 0.000 0.000 0.000
S 0.500 0.500 0.500

---

! Nd3S4, relaxed, DFT r²SCAN; values from VASP
! total moment = 0.0 μB per formula unit
! E = -19.51 eV per atom
&SYSTEM
  ibrav = 0, nat = 14, ntyp = 2
/
ATOMIC_SPECIES
Nd 144.24 Nd.upf
S 32.06 S.upf
CELL_PARAMETERS angstrom
-4.291 4.291 4.291
4.291 -4.291 4.291
4.291 4.291 -4.291
ATOMIC_POSITIONS crystal
Nd 0.125 0.750 0.875
Nd 0.250 0.625 0.375
Nd 0.375 0.250 0.625
Nd 0.625 0.375 0.250
Nd 0.750 0.875 0.125
Nd 0.875 0.125 0.750
S 0.000 0.352 0.500
S 0.000 0.852 0.500
S 0.148 0.148 0.148
S 0.352 0.500 0.000
S 0.500 0.000 0.352
S 0.500 0.000 0.852
S 0.648 0.648 0.648
S 0.852 0.500 0.000

---

! Nd2SiS5, relaxed, DFT r²SCAN; values from VASP
! total moment = 0.0 μB per formula unit
! E = -15.27 eV per atom
&SYSTEM
  ibrav = 0, nat = 32, ntyp = 3
/
ATOMIC_SPECIES
Nd 144.24 Nd.upf
Si 28.09 Si.upf
S 32.06 S.upf
CELL_PARAMETERS angstrom
7.557 0.000 0.000
0.000 12.505 0.000
-1.539 0.000 7.653
ATOMIC_POSITIONS crystal
Nd 0.162 0.165 0.132
Nd 0.162 0.335 0.632
Nd 0.240 0.594 0.042
Nd 0.240 0.906 0.542
Nd 0.760 0.094 0.458
Nd 0.760 0.406 0.958
Nd 0.838 0.665 0.368
Nd 0.838 0.835 0.868
Si 0.332 0.616 0.595
Si 0.332 0.884 0.095
Si 0.668 0.116 0.905
Si 0.668 0.384 0.405
S 0.130 0.703 0.695
S 0.130 0.797 0.195
S 0.137 0.121 0.497
S 0.137 0.379 0.997
S 0.174 0.529 0.385
S 0.174 0.971 0.885
S 0.421 0.003 0.281
S 0.421 0.497 0.781
S 0.473 0.227 0.950
S 0.473 0.273 0.450
S 0.527 0.727 0.550
S 0.527 0.773 0.050
S 0.579 0.503 0.219
S 0.579 0.997 0.719
S 0.826 0.029 0.115
S 0.826 0.471 0.615
S 0.863 0.621 0.003
S 0.863 0.879 0.503
S 0.870 0.203 0.805
S 0.870 0.297 0.305

---

Repeat the first record exactly.
! NdS, relaxed, DFT r²SCAN; values from VASP
! total moment = 0.0 μB per formula unit
! E = -21.02 eV per atom
&SYSTEM
  ibrav = 0, nat = 2, ntyp = 2
/
ATOMIC_SPECIES
Nd 144.24 Nd.upf
S 32.06 S.upf
CELL_PARAMETERS angstrom
0.000 2.876 2.876
2.876 0.000 2.876
2.876 2.876 0.000
ATOMIC_POSITIONS crystal
Nd 0.000 0.000 0.000
S 0.500 0.500 0.500

---

Look up the total moment of the first one.
0.0 μB per formula unit


The following is a PBE with a Hubbard U calculation of a relaxed structure of Li3V2O4F2, from Materials Project.

a b c (Å): 5.9448 5.9448 8.7388
angles (deg): 118.38 118.38 60.49
Positions (direct):
Li  0.2046  0.7292  0.6245
Li  0.2530  0.2530  0.3604
Li  0.2708  0.7954  0.3755
Li  0.7292  0.2046  0.6245
Li  0.7470  0.7470  0.6396
Li  0.7954  0.2708  0.3755
V  0.2426  0.2426  0.9816
V  0.2539  0.7461  0.0000
V  0.7461  0.2539  0.0000
V  0.7574  0.7574  0.0184
O  0.0037  0.0037  0.8441
O  0.0133  0.5414  0.8636
O  0.4586  0.9867  0.1364
O  0.4828  0.4828  0.1390
O  0.5172  0.5172  0.8610
└──
Now is the time to complete the planting out of all bedding and half-hardy plants. Harden off the annuals you have nurtured in the warmth of the greenhouse and move them out into the garden. Any hanging baskets and containers should also be moved outside. Fill in the gaps in your garden with lovely annuals such sweet peas and use the pansies and petunias to fill those summer baskets with lots of glorious colour. Hanging basket plants should also be trimmed to encourage new growth.
You will also now be reaping the benefits of sowing your fruit and vegetable crops earlier in the year. June is a month for harvesting crops that have been grown undercover rather than planting new ones. From early potatoes, broad beans, mange tout and peas, not to mention the salad crops and even your first tomatoes are possible by the end of the month, there’s a whole host of home-grown bounty that will be gracing your table this month. Whilst we are on the subject of tomatoes, now’s the time to pinch out any side shoots as these can be potted up to create new plants.

Don’t forget about harvesting your rainwater too. Now’s the time of year that the water collected into your water barrel through your Elite rainwater kit comes into its own. Check plants in your greenhouse daily and water them throughout the day using or Big Drippa if the soil is dry. Use the collected rainwater rather than tap water for your containers and baskets as tap water contains lime and will reduce the acidity of soil over time.
June is also the time you should consider growing something really different in your greenhouse. The most exciting thing about growing fruit and vegetables in a warm environment is the unlimited number of exciting options that are available. Trying to grow something unusual can be a challenge to yourself, but an extra benefit is the variety and flavour it adds to your recipes and diet come harvest time. You can try growing all manner of tropical fruit and vegetables, maybe melons, aubergines or some exotic chillis. Also if you want those pumpkins to be ready for Halloween, now’s the time to be planting them. Go under glass this June to discover a new world!!!